Summary: 1. Matthew 7:24-29.

1. Matthew 7:24-29. Jesus wraps up the sermon on the mount w/ a pretty nice ending.

-- begin --
1.
# Y2ClO4 PBE relaxed
data_Y2ClO4
_cell_length_a 15.6180
_cell_length_b 6.1649
_cell_length_c 14.4408
_cell_angle_alpha 90.00
_cell_angle_beta 90.00
_cell_angle_gamma 90.00
_space_group_name_H-M_alt 'P 1'
_space_group_IT_number 1
loop_
_space_group_symop_operation_xyz
'x,y,z'
loop_
_atom_site_label
_atom_site_type_symbol
_atom_site_fract_x
_atom_site_fract_y
_atom_site_fract_z
Y1 Y 0.0400 0.0000 0.1427
Y2 Y 0.0555 0.0000 0.3612
Y3 Y 0.4445 0.0000 0.3612
Y4 Y 0.4600 0.0000 0.1427
Y5 Y 0.5400 0.0000 0.8573
Y6 Y 0.5555 0.0000 0.6388
Y7 Y 0.9445 0.0000 0.6388
Y8 Y 0.9600 0.0000 0.8573
Cl1 Cl 0.1078 0.0000 0.9684
Cl2 Cl 0.3922 0.0000 0.9684
Cl3 Cl 0.6078 0.0000 0.0316
Cl4 Cl 0.8922 0.0000 0.0316
O1 O 0.0366 0.0000 0.7407
O2 O 0.0447 0.0000 0.5193
O3 O 0.1339 0.0000 0.2423
O4 O 0.2099 0.0000 0.4518
O5 O 0.2901 0.0000 0.4518
O6 O 0.3661 0.0000 0.2423
O7 O 0.4553 0.0000 0.5193
O8 O 0.4634 0.0000 0.7407
O9 O 0.5366 0.0000 0.2593
O10 O 0.5447 0.0000 0.4807
O11 O 0.6339 0.0000 0.7577
O12 O 0.7099 0.0000 0.5482
O13 O 0.7901 0.0000 0.5482
O14 O 0.8661 0.0000 0.7577
O15 O 0.9553 0.0000 0.4807
O16 O 0.9634 0.0000 0.2593
# - energy (eV/atom) = -6.68
# - formation energy (eV per atom) = -1.834

---

2.
# La2MgS4 PBE relaxed
data_La2MgS4
_cell_length_a 8.3827
_cell_length_b 7.1652
_cell_length_c 11.9087
_cell_angle_alpha 90.00
_cell_angle_beta 90.00
_cell_angle_gamma 90.00
_space_group_name_H-M_alt 'P 1'
_space_group_IT_number 1
loop_
_space_group_symop_operation_xyz
'x,y,z'
loop_
_atom_site_label
_atom_site_type_symbol
_atom_site_fract_x
_atom_site_fract_y
_atom_site_fract_z
La1 La 0.0230 0.2500 0.1853
La2 La 0.0949 0.7500 0.4588
La3 La 0.4051 0.2500 0.9588
La4 La 0.4770 0.7500 0.6853
La5 La 0.5230 0.2500 0.3147
La6 La 0.5949 0.7500 0.0412
La7 La 0.9051 0.2500 0.5412
La8 La 0.9770 0.7500 0.8147
Mg1 Mg 0.1962 0.7500 0.0817
Mg2 Mg 0.3038 0.2500 0.5817
Mg3 Mg 0.6962 0.7500 0.4183
Mg4 Mg 0.8038 0.2500 0.9183
S1 S 0.0801 0.2500 0.9425
S2 S 0.1494 0.5084 0.6524
S3 S 0.1494 0.9916 0.6524
S4 S 0.1963 0.2500 0.3931
S5 S 0.3037 0.7500 0.8931
S6 S 0.3506 0.0084 0.1524
S7 S 0.3506 0.4916 0.1524
S8 S 0.4199 0.7500 0.4425
S9 S 0.5801 0.2500 0.5575
S10 S 0.6494 0.5084 0.8476
S11 S 0.6494 0.9916 0.8476
S12 S 0.6963 0.2500 0.1069
S13 S 0.8037 0.7500 0.6069
S14 S 0.8506 0.0084 0.3476
S15 S 0.8506 0.4916 0.3476
S16 S 0.9199 0.7500 0.0575
# - energy (eV/atom) = -5.80
# - relative energy among the computed polymorphs (meV per atom) = 119.3
# - formation energy (eV per atom) = -2.090

---

3.
# Zr3Mn4Si6 PBE relaxed
data_Zr3Mn4Si6
_cell_length_a 17.1342
_cell_length_b 17.1342
_cell_length_c 5.0915
_cell_angle_alpha 90.00
_cell_angle_beta 90.00
_cell_angle_gamma 90.00
_space_group_name_H-M_alt 'P 1'
_space_group_IT_number 1
loop_
_space_group_symop_operation_xyz
'x,y,z'
loop_
_atom_site_label
_atom_site_type_symbol
_atom_site_fract_x
_atom_site_fract_y
_atom_site_fract_z
Zr1 Zr 0.0260 0.2902 0.0000
Zr2 Zr 0.1019 0.2042 0.5000
Zr3 Zr 0.2011 0.7825 0.5000
Zr4 Zr 0.2042 0.8981 0.0000
-- stop --

2. This is such a great way to end a sermon. Basically, Jesus has been preaching for 30 minutes or so and he comes to his invitation, his conclusion. And to end his msg., Jesus says, “alright, that was my sermon, those of you who do what I say are smart, those of you who don’t are stupid, let’s pray”. It’s awesome. I think I’m going to start ending my messages that way. Powerful ending to a powerful series of messages and Matthew tells us that when he was done preaching the people were what? Amazed. Stunned. B/c He spoke like one who had authority – b/c He did. He came from heaven and it was obvious that He did!

3. And let’s look at this parable for a minute. B/c Jesus again polarizes the options – breaks his audience down into two camps. Wise and Foolish. Smart and stupid. Those who hear and do…and those who hear and don’t do. He’s not talking about believers v. non-believers or Christians v. non-Christians - that’s what we usually do. churched v. unchurched. Jesus doesn’t go there. He’s doesn’t lump all church-goers into the same boat, or all the people who check the box that say “I believe there is a God.” Or even the people who call themselves Christians. He says there are two camps here today –those who hear and do and those who hear and don’t do. A simple, straightforward, non-confusing delineation. Either you do what I say or you don’t. Two camps, two consequences.

4. Did anyone see the article this week in Newsweek magazine about Gay Marriage? Their cover article is about gay marriage and grossly misrepresented the Bible, Jesus’ teaching, Paul’s teaching, the Christian view point. But it doesn’t freak me out; I don’t expect Newsweek to properly represent Jesus. But it was interesting b/c in the article and particularly the Editor’s notes on it, they drew a line, just like Jesus does here, divided people up into two groups. Essentially the same two groups.

5. Religious conservatives –those who believe the Bible is accurate and try to live by it and those representing the rational, normal world who don’t. In one of the paragraphs, the Editor condemns churches who don’t accept openly gay pastors. He says, they “declared that their opposition to the ordination and the marriage of gays was irrevocably rooted in the Bible—which they regard as the ‘final authority and unchangeable standard for the Christian faith and life.' " To which the Editor adds, This conservative resort to biblical authority is the worst kind of fundamentalism. We’re no longer worried about the kind of fundamentalism that flies planes into buildings, just the kind that believes the Bible is God’s Word.

6. But I think what’s clear here is that the world agrees with Jesus about one thing; there are two groups. They just disagree with what group you should be in. They think J. is wrong and that we’re stupid, but they at least agree that there are only two options. (and this isn’t about the gay debate –I’ve really got no dog in that fight and I’m not sure Jesus does. But, if we’re going to follow Jesus, we can’t practice homosexuality, no more than we can commit adultery or lust or be greedy.) But Jesus’ point, his challenge, isn’t about what you say you believe, he doesn’t challenge us to have an opinion on cultural or political issues…his concluding point in the greatest message ever preached is – Do what I say. Not think what I think or believe what I believe, or even agree with me, but He takes it a step further and speaks to us where the rubber meets the road – our lives. And He says there are two types of people listening to me right now…those who do what I say and those who don’t. The question is; which one are you?

7. B/c again, as I’ve tried to make clear so many times in this series, following Jesus is about doing what He says. Living like He called us to live. You hear it, then you do it. As our billboard says, “Live the life”!

1) When I read in Ephesians 5 that I’m supposed to love my wife as Christ loves the church, do I? I’m supposed to submit to my husband’s authority, do I? Or am I doing marriage my way?

2) When I read that I’ve got to stop lusting, do I? When I read that I can’t be drunk, am I?

3) When I read in 1 Peter 4:10 that I’m supposed to use my gifts to serve others, do I? Or am I still sitting on the sidelines?

4) That I can’t be greedy but I have to be generous and willing to give what I have away…not, have I heard that sermon, but do I do that!

5) Do I thank God in all circumstances? Do I love, do I forgive, do I put others first?

8. I know you don’t want me to keep going, but these are the real questions of Christianity. And for most of us, the problem isn’t that we don’t know; it’s that we don’t do. Our problem is that instead of giving Jesus our lives, we’re bringing Him our “buts”. I know the Bible says this, BUT, I want to do that. I know you said to forgive, BUT, I don’t feel like forgiving. I know you said Love Always hopes, BUT I’ve given up hope in that person. I know you said not to have sex outside of marriage, BUT we love each other. I know I’m supposed to serve, but I don’t have time. I just want you to understand that you can’t get through a narrow gate with a big butt. If small is the gate and big is the “BUT”, you’re not getting through. As Christ-followers, we can’t bring Jesus excuses, we have to give Him obedience! (In Luke 9, Jesus calls people to follow Him, and one guy says “but first, bury my father”…But First, say good-bye. As one great preacher said, “nobody goes “But first” into the kingdom of God.”

9. James gives us essentially the same challenge in James 1:22-25. Anybody notice that when you go by a mirror, you try to look your best? It’s funny b/c you’re looking so that you can know how you look, but almost instinctively you walk by a mirror or a window and you pose. (act out- walking like this, then you see the mirror and you’re like…yeah, I look good.) Cry room – reflective glass. My wife says people come by all the time checking themselves out.

10. James says, don’t just look into the mirror, the Word, to feel better about yourself. Dig deep enough until you find what needs fixed in you and you work on it. Do not merely listen to the word and so deceive yourself. How many people are sitting in churches all over America right now listening to sermons, shaking hands, dressing nice, trying to make people think they’re doing OK, keeping up appearances. Feeling good about themselves spiritually, but James says you’re fooling yourself. Unless you’re listening to Jesus and doing what He says, you’re fooling yourself.

11. For both Jesus and James the challenge isn’t for the people at Newsweek or the people advocating Gay marriage or the next President, or for my alcoholic in-law…it’s for us – those of us who are listening and are reading and are going to church. This challenge is an internal challenge for the people of God to be the people who do what God says. No matter what the world says or how I feel about it or how it affects me. I hear, I do.

12. I had a little fun with that coordinating conjunction earlier, there is a time in the Bible where somebody used that conjunction in exactly the right way. (Luke 5:1-5a (only the first part of the verse). I want you to notice that what Jesus is asking Peter to do doesn’t make sense – esp. to Peter. It’s not something he wants to do – he’s been doing it all night, he’s tired, he doesn’t feel like trying anymore. And he explains that to Jesus. He tells Jesus why He thinks His plan won’t work, but then he says this. Luke 5:5b. BUT, b/c you say so, I will…

13. My kids love this story and it’s so cute b/c the kids abbreviated this phrase. And a lot of times when we ask them to do something, instead of saying yes, Dad or yes, Mom, they’ll say B.Y.S.S.I.W – B/c you say so I will. And we kind of know, maybe they were in the middle of something else, or they really don’t feel like doing what we asked, but…BYSSIW. “I don’t think you realize that you’re interrupting Lego time, but BYSSIW.

14. What if we became BYSSIW people? People who take Jesus at His word and w/out question, w/out excuse, w/out delay, simply do what He says. B/c He not only wrote the book on life, He created life. B/c He’s God and we’re not, b/c He knows best and we don’t, b/c He loves us more than we could ever love ourselves…we take our fears, our concerns, our excuses, our circumstances, anything that’s keeping us from following Him and we lay them down at His feet and let Him know; B/c you say so, I will.

15. For Peter, that kind of faith meant the biggest catch of fish in his life. The nets ripped, they had to get another boat. And He fell on his face and worshiped Jesus b/c He was right. He was God. He knew. The promise from Jesus in Matthew 7 is that if you build your life on Jesus; you hear His words and you put them into practice, you build your life on what He says… you won’t crash! The bottom will never fall out, b/c you’re in His hands and those hands don’t move. Nothing can snatch you out of them. And no matter how hard Satan tries to take you down, (1 Pet. 5:6) if you humble yourself under God’s almighty hand, he will lift you up.

16. The one thing that’s for sure – the storms of life are going to come. Either way. It doesn’t matter if you follow Jesus or not, whether you’re a pagan or you’re the preacher, life is tough and the tough times are going to come. It’s going to rain hard, you’ll get flooded with problems, the winds are going to blow. Just b/c you build your house on the rock, doesn’t mean you won’t get hit and hit hard. The difference is, will your house stand? When the day of testing comes will your life come crashing down or will you be able to say along with the Apostle Paul in Romans 8:37-39 That in all these things we are more than conquerors! that neither death nor life, neither angels nor demons, neither the present nor the future, nor any powers, 39neither height nor depth, nor anything else in all creation, will be able to separate us from the love of God that is in Christ Jesus our Lord.

17. What are you building your life on? If it’s anything other than obedience to Jesus, it’s sand. It’s going to wash away. And you’re going to crash. I know that pain and that’s why I do what I do. What’s your foundation? 1. Money. What does it profit a man to gain the whole world, but lose his soul? 2. Education. You can get all the education you want, but if you don’t follow Jesus you’re going to be a smart fool. W/ a lot of student loans. 3. Career. You work so hard to get ahead, but what do you really get? 4. Another person. What happens when that person that you’ve built your world around, leaves, dies, or stops fulfilling you?

18. Don’t waste your life! Don’t waste your life building on something that can’t fulfill you emotionally or spiritually and in the end can never save you.

19. Money can’t do that. Another person can’t do that. A career can’t save you. Salvation is found in no one else – there is no other Name under heaven give to men by which we must be saved…it’s either Jesus or its sand. As John says in 1 John 2:17, “The world and its desires pass away, but the man who does the will of God lives forever.”

20. Do you want to live? Do you want a real life? A life that has meaning, purpose, security, hope, joy…a life that can weather any storm? Then you’re going to have to build on Jesus. You’re going to have to take his words and put them into practice – do the will of God!

21. Some of you are suffering loss right now. Up until now, you haven’t built your life on Jesus and you’re paying the price. And like so many people, b/c your life is built on sand, you’re busy patching cracks, fixing leaks, sureing up your foundation, filling sand bags to keep the water out. So often in our lives, all we’re doing is plug holes, fixing problems, treating symptoms, chasing leaks. Jesus’ invitation is to rebuild. Start over. To stop construction on a life that doesn’t work and rebuild a life that does! We want to help you do that.

22. But it takes time to lay a foundation. To study the truth and firmly establish your beliefs, develop habits, commitments, to eliminate sin, to build Christian relationships and accountability into your life. It doesn’t just happen. It takes time, effort and energy. You make a choice. You make a decision. You make a commitment. And that’s what Jesus is calling us to today. To make a commitment to follow Him.

23. Lord’s Supper. As we eat and drink the emblems that represent His body and His blood, we’re committing to follow Him. The Bible warns us against doing this in an unworthy manner and challenges us to examine ourselves to make sure we’re willing to follow Jesus.